Grants:IEG/Semi-automatically generate Categories for some small-scale & medium-scale Wikis

statusnot selected
Semi-automatically generate Categories for some small-scale & medium-scale Wikis
summaryThis project will support to create new categories for small-scale & medium-scale Wikipedias where lack of editors. The method is based on NLP patterns such as XY, X in Y, X [VBN] Y, X of Y, X by Y and more. A system will detect interlinks X, Y and then create new categories such as X in Y, X of Y, .. in different languages.
targetVietnamese Wikipedia and other three Wikis (any small-scale Wikipedias are Latin based languages)
strategic priorityto create new categories and arrange them based on english category classification.
amount15500 USD
this project needs...
created on23:50, 8 September 2014 (UTC)
2014 round 2

Project idea


English category classification was researched by many scholars in many years. There were lots of research about restructuring categories, removing abudant categories (comparing with WORDNET), etc which also had in German Wikipedia, French Wikipedias as well as some big Wikis. For many smaller-scale Wikipedias which have a modest number of categories as well as a small number of active editors (contributors) who can not create and manage all categories effectively. Therefore, the solution is to use bot to create these categories based on NLP patterns and help the local community to categorize the category structure based on English taxonomy or German taxonomy.

What is your solution?


First, I translate NLP patterns to some specific languages from English, such has pattern "X in Y" (English) can be translated to "X ở Y" in Vietnamese. For example with pattern: XY in English = YX in Vietnamese.

  • In English, we have Category:Information Technology => X = Category:Information, Y = Category:Technology
  • In Vietnamese, if we have Y = Thể loại:Công nghệ (Category:Technology), X = Thể loại:Thông tin (Category:Information). We can create new category has name Thể loại:Công nghệ thông tin' (Category:Information Technology) with two parent categories Thể loại:Công nghệ and X = Thể loại:Thông tin.

We also have a lot of patterns to generate new categories such as X by Y (Category:Birds by country), X in Y (Category:Cities in Vietnam), X of Y, X from Y (Category:People from London), X [VBN] Y, ...

Then secondly, I will classify these categories into articles based on English category classification. [1][2]. Secondary solution is to add common categories to articles only or we comply to the community agreements about category taxonomy.

Project goals

  • To create semiautomatically new categories for small-scale & medium-scale Wikipedias.
  • To create more fine-grained category taxonomy for small-scale & medium-scale Wikipedias.
  • Help to reduce the manual tasks related to category of editors.
  • To boost the collaborative quality of small-scale & medium-scale Wikipedias.

Project plan

• Unrelated to this entry: quantum chemistry results:
- - -
87
Properties=species:S:1:pos:R:3:lowdin_charge:R:1 method="wB97M-V/def2-TZVPD" total_charge=-2 orbital_gap_ev="4.4 / 5.0" spin_multiplicity=5 e_homo_ev="-0.744 / -1.399" s_squared=6.049 energy_ha=-7692.95681
Co -0.69266 1.60247 0.56339 -0.05
S 2.48695 2.81674 4.67415 -0.26
As 1.51541 1.32797 3.49137 -0.08
S 1.07662 1.33607 -0.66296 0.38
S -0.58228 1.84605 2.98083 0.03
S 1.74177 -0.67185 4.27965 0.10
C -3.84802 -0.84322 -0.81845 -0.17
Si -3.84224 0.27063 0.70728 0.41
C -3.50138 -0.70207 2.25922 -0.17
C -5.72082 0.49775 0.87491 -0.22
N -2.77881 1.61314 0.51492 -0.08
C -3.17104 2.92901 0.50641 -0.29
C -4.51114 3.38984 0.63655 -0.06
C -4.85200 4.72534 0.61705 -0.13
C -3.85019 5.68786 0.46701 -0.13
C -2.53878 5.28413 0.34095 -0.05
C -2.14986 3.92011 0.35741 -0.28
N -0.85904 3.46982 0.24071 -0.14
Si 0.55543 4.45930 -0.09265 0.36
C 1.92856 4.14204 1.09930 -0.23
C 1.08889 4.28913 -1.89044 -0.22
C 0.39817 6.35151 -0.01848 -0.21
H -4.38448 -1.77663 -0.58382 0.03
H -2.86234 -1.11028 -1.20794 -0.01
H -4.39328 -0.33222 -1.62566 0.03
H -3.94884 -1.70540 2.20356 0.03
H -3.95715 -0.16651 3.10287 0.04
H -2.44515 -0.80456 2.49827 -0.02
H -6.14075 -0.51320 0.97515 0.03
H -6.18334 0.97108 -0.00191 0.03
H -6.00509 1.06847 1.76838 0.03
H -5.29979 2.66400 0.76944 0.04
H -5.89076 5.01690 0.72908 0.08
H -4.09078 6.74571 0.46224 0.08
H -1.77920 6.04308 0.25245 0.04
H 2.35160 3.14269 0.99760 -0.03
H 1.56618 4.23002 2.13010 -0.01
H 2.73381 4.87745 0.94886 0.03
H 1.25263 3.25458 -2.21375 -0.06
H 2.03033 4.84334 -2.02355 0.03
H 0.32875 4.73648 -2.54666 0.03
H 0.11530 6.73970 0.97113 0.04
H -0.29198 6.76197 -0.76975 0.02
H 1.40590 6.72735 -0.24951 0.03
C 0.36315 -3.90090 -4.12630 -0.05
C 1.26247 -3.26037 -3.05941 -0.51
C 2.71675 -3.57322 -3.43964 -0.04
C 1.04103 -1.74220 -3.11990 -0.04
C 0.94679 -3.84876 -1.64565 -0.41
O 0.84909 -5.29302 -1.74418 -0.03
C 2.00720 -3.59429 -0.55784 -0.11
C 2.56875 -2.20254 -0.22650 -0.14
C 3.42801 -2.30160 1.02033 -0.21
C 4.63727 -2.99710 0.98428 -0.06
C 5.42535 -3.12554 2.11841 -0.14
C 4.99403 -2.55537 3.30663 -0.66
Cl 5.98998 -2.73217 4.73825 0.60
C 3.80068 -1.85897 3.37793 -0.23
C 3.02736 -1.73187 2.22671 -0.12
C -0.46102 -3.45608 -1.13511 -0.03
N -0.46209 -2.35494 -0.18814 -0.10
C -0.62470 -1.06542 -0.44500 -0.26
N -0.56472 -0.38173 0.67856 -0.07
C -0.35639 -1.33017 1.64964 -0.23
N -0.31908 -2.55344 1.16166 0.16
H 0.60200 -3.46289 -5.10167 0.08
H -0.69952 -3.71774 -3.93478 0.08
H 0.50973 -4.97903 -4.18127 0.08
H 2.90681 -3.23604 -4.46421 0.08
H 2.92134 -4.65095 -3.41007 0.08
H 3.43314 -3.06898 -2.78429 0.08
H 1.41469 -1.36157 -4.07621 0.09
H 1.55100 -1.19341 -2.32191 0.05
H -0.02447 -1.49634 -3.07498 0.07
H 1.73563 -5.63734 -1.86659 0.08
H 2.85101 -4.25301 -0.80104 0.11
H 1.57870 -3.98631 0.36766 0.12
H 1.77337 -1.47924 -0.04657 0.06
H 3.17729 -1.80754 -1.04453 0.11
H 4.98121 -3.43887 0.05137 0.10
H 6.36241 -3.66972 2.08684 0.09
H 3.45131 -1.43226 4.31066 -0.07
H 2.09382 -1.17777 2.29122 -0.03
H -0.85660 -4.32861 -0.63164 0.14
- - -
• The entry goes on:




1. Collect NLP patterns in different languages


Each language has its own NLP patterns based on the basic rules. Such as in English, category pattern XY becomes YX in Vietnamese. So this must be researched in detail for each languages. We can form some basic patterns:

  • English: XY, X in Y, X of Y, X from Y, XY by Z (Category:Information technology by region), ...
  • Vietnamese: YX, X ở Y, X của Y, X từ Y, XY theo Z, ...
  • And other languages

2. Name convention discussions of each Wikipedia for category name


We have to organize some discussions about how local Wikipedia accept category names. Many languages put stress on plural. For example, in English, Category:Language is quite different from Category:Languages but for Vietnamese Wikipedia, we did not have any convention and standards for plural. So we consider Category:Language is the same with Category:Languages. We focus on some questions:

  • How do editors classify categories at their Wiki? Collect their experiences when they classify categories. Which category structure (taxonomy) do they depend on?
  • Do editors of local languages accept the English taxonomy or German taxonomy? Why?
  • Will editors accept the deepest categories will be classified into articles or depend on the number of articles of categories to decide which category should be classified?
  • Should editors accept empty categories which may be important for classification in future?

These molecular data were left in the entry by mistake >
********
Formula: C26H46GdOP2
Source: the Open Molecules 2025 dataset
Level of theory: wB97M-V/def2-TZVPD

XYZ file:
```
76
Properties=species:S:1:pos:R:3:forces:R:3
H 1.835 5.443 2.854 -0.07 -0.38 0.17
H -1.803 -3.348 -2.002 0.28 -0.23 -0.04
C -0.420 4.210 -2.076 -0.35 0.01 -0.41
H -2.078 -4.311 0.168 0.10 -0.17 -0.13
C 1.087 -1.134 2.419 -0.05 0.00 0.10
H -3.793 1.998 0.557 -0.02 -0.29 -0.27
C -1.530 2.422 2.879 0.03 -2.99 -0.16
H 1.152 -5.875 -3.506 -0.11 0.03 0.28
C 1.640 3.211 -0.866 -0.09 0.74 0.75
H 0.249 -6.591 -2.189 0.14 0.35 -0.31
H 3.246 2.103 1.898 0.13 0.11 -0.13
H 2.841 1.658 -1.707 0.01 0.17 -0.22
H -2.618 -0.697 0.941 -0.03 -0.11 -0.04
H -2.799 -1.346 -0.691 0.05 -0.31 0.25
H -1.379 5.126 1.731 0.16 0.15 0.05
P 0.711 -0.698 0.667 0.02 0.23 0.10
H 3.696 1.792 0.218 0.10 0.23 0.18
C 0.619 -5.272 0.544 0.22 -0.09 0.36
H -0.561 -2.169 -0.733 0.01 0.06 0.17
C -1.675 -5.007 -0.586 0.12 -0.19 0.39
C 0.435 3.970 -0.884 0.63 0.36 0.85
C 2.201 2.486 -2.035 0.08 -0.31 -0.34
H 2.129 -0.927 -1.248 0.03 -0.27 0.13
H -1.787 2.796 5.018 -0.03 -0.12 -0.74
C 1.339 4.114 1.249 -0.39 0.12 -1.37
H 3.041 -0.836 0.255 -0.17 -0.29 -0.06
H -3.593 2.715 -1.028 0.13 -0.44 -0.02
C -2.108 -0.822 -0.021 -0.80 0.41 0.21
H 2.608 -4.647 0.348 -0.40 -0.03 -0.05
H -0.583 6.469 0.875 -0.25 -0.24 -0.02
C -1.956 0.594 -2.499 0.08 0.07 -0.12
H 1.381 2.053 -2.623 0.27 0.02 -0.08
C 2.011 -5.492 -1.577 -0.15 0.15 -0.47
H 2.251 -2.408 -0.217 0.10 0.32 -0.01
H 2.267 3.721 3.137 -0.04 0.35 -0.08
C 3.419 2.586 0.924 0.37 -0.24 0.16
H -1.985 4.153 3.841 -0.39 -0.68 0.61
H 4.278 3.267 1.043 -0.20 -0.26 -0.05
H -0.212 5.184 -2.556 -0.08 -0.38 0.16
C 2.203 3.299 0.447 -0.88 0.57 -0.42
C 0.774 -5.678 -2.491 0.46 -0.38 -0.19
H 2.566 -6.448 -1.585 -0.12 0.34 0.20
C 1.727 -5.056 -0.166 0.31 -0.47 0.33
C -0.815 -1.625 0.182 0.52 -0.44 -0.01
O -1.395 1.238 2.518 -0.93 2.70 1.62
H -4.448 1.140 -0.895 0.10 0.26 0.19
H -0.258 3.422 -2.820 -0.06 0.24 -0.01
C 0.235 4.540 0.415 1.30 -0.57 -0.25
H 2.695 -4.761 -2.035 -0.18 -0.12 0.06
H -2.732 -0.133 -2.770 0.19 0.25 -0.24
H -0.958 0.220 -2.756 -0.25 -0.08 -0.06
C 2.172 -1.313 -0.222 -0.10 -0.11 -0.27
C -0.908 5.421 0.786 -0.24 0.21 0.11
C -2.210 3.074 4.028 -0.04 1.47 0.05
P -2.013 0.896 -0.717 0.28 -0.33 -0.53
H -1.701 5.354 0.031 0.20 0.20 0.10
C -0.643 -5.949 0.080 -0.52 -0.22 0.07
H -3.315 2.973 4.084 0.62 -0.32 -0.33
H 1.899 -0.480 2.787 -0.20 -0.31 -0.29
Gd -0.007 2.015 0.790 0.71 0.71 0.73
H 1.409 -2.187 2.503 -0.25 0.39 0.12
C 1.519 4.398 2.700 0.11 0.06 0.32
H -0.437 -6.780 -0.603 -0.03 0.24 0.44
H -2.534 -5.628 -0.897 0.21 0.28 -0.02
H 2.782 3.147 -2.702 -0.14 -0.29 0.23
H 0.596 4.229 3.274 0.05 0.23 -0.06
H -2.088 1.557 -3.007 -0.10 -0.33 -0.06
H -0.964 -2.380 0.965 -0.16 0.00 -0.30
H 0.630 -5.038 1.619 0.06 0.20 -0.48
H -1.134 -6.400 0.955 0.15 0.12 -0.22
C -3.620 1.747 -0.501 -0.27 -0.20 0.22
H 0.001 -3.866 -3.453 -0.04 0.01 0.48
H 0.218 -0.916 3.064 0.27 -0.33 -0.31
C -0.148 -4.495 -2.565 -0.38 0.18 -0.21
********

We scan a list of categories that have interlinks (Wikidata sitelinks) with other languages (normally English). Then, in one language, if we create a new category in one language, based on this list, we also can create in other languages automatically or semi-automatically by applying NLP patterns. For each new category, we also check and insert the its categories parent as well as articles belong to it based on English taxonomy. Besides, we check the popular categories on Wiki Commons and Wikidata to know which categories needed to be created at local languages.

4. Find RDF triples (articles-categories triples) based on English classification


This step we use bot to scan the relationship between categories (had interwiki links) and articles (sub categories) in English then apply these relationships for other Wikipedias.

5. Check categories before add


This step will support for 3 and 4. When inserting the categories (AC) which are from RDF triples or are new categories into articles and other categories, first we format and sort the existing categories of articles (EC), then we check the relationship between AC and EC to determine we should add AC or not.

_Quantum chemistry results from another source follow_
- - -
[1]
Density functional theory data (wB97M-V/def2-TZVPD) for one molecule with the formula C5H11N.

The geometry in XYZ format:
```
17
Properties=species:S:1:pos:R:3:nbo_charge:R:1
C -1.2605 -0.6255 0.2260 -0.231
C -0.0545 -0.3313 -0.6468 -0.225
C 1.2965 -0.9030 -0.1509 -0.398
C 1.5682 0.3945 0.5430 -0.424
C 0.5713 1.0581 -0.3258 -0.391
H -1.8897 1.2067 0.0469 0.349
H -3.1829 0.1936 0.6653 0.364
H -1.5214 -1.6650 -0.0756 0.191
H -0.9355 -0.7333 1.3438 0.164
H -0.2886 -0.4996 -1.7479 0.211
H 1.2566 -1.7873 0.4763 0.205
H 2.0982 -1.1474 -0.9605 0.211
H 2.5511 0.8292 0.3389 0.206
H 1.2682 0.4346 1.5740 0.207
H -0.1596 1.8887 0.0365 0.184
H 1.0965 1.4004 -1.2461 0.205
N -2.4141 0.2865 -0.0971 -0.830
```

Computed properties:
relative energy (zero: lowest compared OMol25 entry of this formula, charge and spin)	40.1	kcal/mol
LUMO	1.1	eV
SMILES string	NCC1CCC1
frontier orbital gap	10.70	eV
max |F|	3.41	eV Å⁻¹



[2]
Density functional theory data (wB97M-V/def2-TZVPD) for a 2-piece molecular cluster, C4H9Cl3Si overall.

The geometry in XYZ format:
```
17
Properties=species:S:1:pos:R:3:nbo_charge:R:1
C 1.9375 -1.6551 0.6455 -0.682
C -0.7990 2.0734 -0.1941 -0.690
C 2.4853 -0.3387 0.3088 -0.288
C -0.9193 0.6712 -0.7308 -0.580
Si -2.3642 -0.3042 -0.2551 1.404
Cl -2.3898 -2.0254 -1.4196 -0.374
Cl -2.2674 -0.8985 1.6000 -0.317
Cl -4.0963 0.7931 -0.7565 -0.368
H 2.4931 -2.4938 0.2980 0.218
H 1.0161 -1.7296 0.2304 0.216
H 1.9736 -1.7813 1.7938 0.205
H -1.3247 2.2669 0.7708 0.225
H 0.2389 2.2136 -0.1611 0.232
H -1.2551 2.8140 -0.9318 0.236
H 2.6245 -0.0861 -0.7204 0.165
H 2.9665 0.1745 1.1287 0.171
H -0.3194 0.3062 -1.6066 0.227
```

Computed properties:
relative energy (zero: lowest compared OMol25 entry of this formula, charge and spin)	98.2	kcal/mol
LUMO (spin up / spin down)	-0.8 / 0.3	eV
frontier orbital gap (spin up / spin down)	7.42 / 9.34	eV
max |F|	4.12	eV Å⁻¹



[3]
Density functional theory data (wB97M-V/def2-TZVPD) for C17H11AgN5S as an isolated structure.

The geometry in XYZ format:
```
35
Properties=species:S:1:pos:R:3:nbo_charge:R:1
Ag 1.3324 0.9788 -0.9107 0.822
S -5.1932 -3.2530 -0.8601 0.982
N -4.4093 -2.5398 -2.0681 -0.590
C -3.3524 -1.9459 -1.5464 0.112
C -2.3681 -1.1852 -2.2766 -0.093
C -2.4394 -0.9960 -3.6594 -0.096
C -1.4606 -0.2582 -4.2808 -0.238
C -0.4356 0.2714 -3.5039 0.072
N -0.3535 0.1015 -2.1915 -0.527
C -1.3026 -0.6188 -1.5598 0.248
C -1.2020 -0.8024 -0.1012 0.155
N -0.1629 -0.2383 0.5310 -0.499
C -0.0390 -0.3832 1.8387 0.066
C -0.9452 -1.1017 2.6147 -0.235
C -2.0201 -1.6886 1.9886 -0.104
C -2.1615 -1.5435 0.6057 -0.080
C -3.2534 -2.1227 -0.1358 0.116
N -4.2373 -2.8442 0.3665 -0.589
H -3.2630 -1.4346 -4.2071 0.251
H -1.4759 -0.0868 -5.3473 0.244
H 0.3489 0.8560 -3.9669 0.211
H 0.8244 0.0947 2.2894 0.204
H -0.7983 -1.1906 3.6816 0.241
H -2.7619 -2.2604 2.5303 0.249
C 4.4198 2.5385 2.7424 -0.131
C 3.2509 3.2209 2.4400 -0.242
C 2.4867 2.7924 1.3711 0.042
N 2.8256 1.7441 0.6102 -0.538
C 3.9496 1.0846 0.9124 0.047
- - -

6. Receive feedbacks


After all, we receive feedbacks from local Wikipedias, and then fix some errors (if happen). With feedbacks, we can orientate the success of project as well as the future plan for this project. We form some new main and popular categories which will be proposed as common categories and contribute to Wikidata.


  • Team members: 2-3 members
No. Task Description Budget
1 Translation and collect NLP patterns Small-scale & medium-scale Wikipedias may not offer enough editors to help us follow up the result. If this project receives the help of community enough, it may not need this budget. 500 USD/each language, 4 languages = 2000 USD.
2 Project management Write documents, reports and supervise the project 1500 USD
3 Support discussions, research solutions, design & building program Organize discussion with editors of local Wikis. Build tools with functions: collect data, check category classfication & category relationship, translate terms, create new categories, link sitelinks at Wikidata, log tasks 5000 USD
4 Data collection and running cost Run tools to collect data: collect categories which have interwiki links, RDF triples, categories of articles/categories 500 USD/each language, 4 languages = 2000 USD.
5 Assessments and error fixes Follow up every edits, fix errors and collect reverted edits, comments to make assessments 500 USD/each language, 4 languages = 2000 USD.
6 Maintenance cost Continue to fix errors 6 months after project finished. To test the stability of edits and category structure within 6 months when we have new edits of editors in this period 750 USD/each language, 4 languages = 3000 USD.
  • Total: 15500 USD
  • Total without maintenance cost: 12500 USD
  • Total if deploying project for Vietnamese Wikipedia only: 8750 USD

Community engagement


I need the help of community in assessing the category name in their languages. We have many names (synonyms) refer to a category name. Local editors will decide which names properly for their languages.

Some new editors outside Wikipedia may join to this project to help translation and grammar assessment.



This project will continue to develop whenever new categories are found in English but lack in other languages through out a tool. Furthermore, this project helps to align all Wikipedias categories structure.

This project is not only for Vietnamese Wikipedia but also for all languages. If the project is deployed successfully, it will apply for other languages.

I expect this project will continue contribute to all small-scale & medium-scale Latin Wikipedias.

Measures of success


Need target-setting tips? Note: in addition to your project-specific measures of success, you will also be asked to report on some Global Metrics at the end of your final report. Please keep this in mind as you plan, and we'll support you as you begin your project.

Each language must create at least 5000 new categories (can be up to 200000 new categories and more) and at least RDF triples (depend on the scale of local Wikipedia) are found and update to Wikipedia content. The number of new categories can depend on the agreements of local Wikis.

Get involved




I did develop Alphama Category tool [3] which automatically classify categories for Vietnamese category structure. AlphamaBot contributed more than 100000 edits for Vietnamese Wikipedia. This program is written in C# and the outcome is similar to RDF triples (X-category of-Y). Then, I use AutoWikiBrowser to insert these triples into Wikipedia content.

Currently, there are some members in this project. I and a Vietnamese programmer are collecting data. I contacted to some translators which are from Indonesia and Philippines.

Community Notification


Please paste links below to where relevant communities have been notified of your proposal, and to any other relevant community discussions. Need notification tips?

I noticed idwiki, mswiki, thwiki, tlwiki, nowki and viwiki about my project.



Do you think this project should be selected for an Individual Engagement Grant? Please add your name and rationale for endorsing this project in the list below. (Other constructive feedback is welcome on the talk page of this proposal).

  • Community member: add your name and rationale here.
  • This seems doable, but I think it should be done through use of Wikidata. The general idea is to set up an item and use that to link a property instance of and a property parent. See Wikidata Category:Sør-Aurdal for an example. If an item has a property instance of pointing to Wikimedia category page (P31) an automated process can localize the label and use that for the category page title. The local page can then use the sitelinks to identify the same page in enwiki and then link the category. The user should be prompted to confirm the automatically created name. Now it gets interesting because the categories will be extremely fragmented if done this way, so articles should be moved up (or down) the category tree to make it balanced. If a wiki has to few articles in a category, then the article should be categorized in the parent category. If that to has to few articles the superparent category should be used. If the number of members in a category grows, then an attempt to move articles down to a subcategory should be attempted. This way the category tree will be kept balanced locally even if the ultimate goal is a much more intricate category tree. I can endorse something like that, or something that tries to partly build it. — Jeblad 11:27, 21 September 2014 (UTC)
Yes, thank you. It is a great idea. But I wonder that we may find not many categories by your way. Just main categories? Alphama (talk) 02:20, 28 September 2014 (UTC)